Assignment >
Work out how many lines further below have the word "Mg1" in them; a number is enough.

Given >
'''
[1]
For Sr2CaV2Si4O14, a cell relaxed with GGA+U gives the calculated XRD peak list in this record (Cu Ka).
Neutral-atom scattering factors, no anomalous dispersion.

Peak list (10 most intense, 2θ from 10° to 90°, most intense first)
d (Å), 2theta, intensity, h k l
3.018, 29.60, 100, 1 2 0
3.236, 27.56, 96, 1 1 -2
2.976, 30.02, 73, 1 2 -1
3.312, 26.92, 55, 0 1 2
3.720, 23.92, 51, 0 0 2
2.823, 31.69, 44, 2 0 -1
2.169, 41.63, 43, 2 2 0
2.565, 34.99, 43, 1 0 -3
1.820, 50.12, 41, 0 4 0
2.646, 33.88, 35, 1 2 1

Atomic structure:
```
data_Sr2CaV2Si4O14
_symmetry_space_group_name_H-M 'P 1 m 1'
_symmetry_Int_Tables_number 6
_cell_length_a 5.6586
_cell_length_b 7.2803
_cell_length_c 7.8012
_cell_angle_alpha 90.00
_cell_angle_beta 107.52
_cell_angle_gamma 90.00
loop_
_symmetry_equiv_pos_as_xyz
'x,y,z'
'x,-y,z'
loop_
_atom_site_label
_atom_site_fract_x
_atom_site_fract_y
_atom_site_fract_z
_atom_site_occupancy
Sr1 0.0000 0.0000 0.0000 1
Sr2 0.3421 0.5000 0.7763 1
Ca1 0.4066 0.5000 0.3534 1
V1 0.2621 0.0000 0.5621 1
V2 0.9727 0.5000 0.0823 1
Si1 0.5462 0.2182 0.1294 1
Si2 0.7753 0.2688 0.5682 1
O1 0.0296 0.5000 0.3213 1
O2 0.0479 0.1915 0.6659 1
O3 0.1389 0.0000 0.3209 1
O4 0.2725 0.3157 0.0717 1
O5 0.5046 0.0000 0.0719 1
O6 0.5299 0.2142 0.6252 1
O7 0.6730 0.2462 0.3453 1
O8 0.7157 0.3002 0.0119 1
O9 0.7904 0.5000 0.6086 1
```

[2]
For Sr7CaTi7MnO24, a cell relaxed with GGA+U gives the calculated XRD peak list in this record (Cu Ka).
Neutral-atom scattering factors, no anomalous dispersion.

Peak list (10 most intense, 2θ from 10° to 90°, most intense first)
d (Å), 2theta, intensity, h k l
2.772, 32.29, 100, 2 2 0
1.960, 46.31, 42, 4 0 4
1.601, 57.58, 37, 6 0 0
1.386, 67.58, 24, 4 4 0
2.264, 39.82, 19, 0 4 2
1.240, 76.89, 16, 6 2 4
1.132, 85.86, 8, 0 8 4
1.182, 81.40, 6, 8 0 2
3.921, 22.68, 2, 2 0 2
1.753, 52.16, 2, 4 2 2

Atomic structure:
```
data_Sr7CaTi7MnO24
_symmetry_space_group_name_H-M 'R 3 m'
_symmetry_Int_Tables_number 160
_symmetry_space_group_name_Hall 'R 3 -2"'
_cell_length_a 11.0888
_cell_length_b 11.0888
_cell_length_c 13.5843
_cell_angle_alpha 90.00
_cell_angle_beta 90.00
_cell_angle_gamma 120.00
loop_
_atom_site_label
_atom_site_fract_x
_atom_site_fract_y
_atom_site_fract_z
_atom_site_occupancy
Sr1 0.0000 0.0000 0.0000 1
Sr2 0.0016 0.5008 0.9985 1
Sr3 0.1674 0.3349 0.8326 1
Ca1 0.0000 0.0000 0.4977 1
Ti1 0.0000 0.0000 0.7483 1
Ti2 0.0007 0.5004 0.2487 1
Ti3 0.1671 0.3343 0.0823 1
Mn1 0.0000 0.0000 0.2494 1
O1 0.0006 0.2505 0.9992 1
O2 0.0826 0.1651 0.1665 1
O3 0.0829 0.1657 0.6643 1
O4 0.0852 0.4180 0.1653 1
O5 0.1637 0.0818 0.3325 1
O6 0.1670 0.0835 0.8321 1
```

[3]
For MgMn3CoO8, a cell relaxed with GGA+U gives the calculated XRD peak list in this record (Cu Ka).
Neutral-atom scattering factors, no anomalous dispersion.

Peak list (10 most intense, 2θ from 10° to 90°, most intense first)
d (Å), 2theta, intensity, h k l
4.968, 17.85, 100, 0 0 1
2.157, 41.87, 23, 0 2 0
2.062, 43.91, 21, 2 0 -2
2.053, 44.10, 21, 2 -2 2
2.461, 36.51, 20, 2 -2 1
2.390, 37.63, 12, 2 -2 0
1.468, 63.36, 12, 2 2 -2
2.544, 35.27, 11, 0 2 -1
4.780, 18.56, 7, 1 0 0
2.484, 36.16, 6, 0 0 2

Atomic structure:
```
data_MgMn3CoO8
_symmetry_space_group_name_H-M 'P 1'
_symmetry_Int_Tables_number 1
_cell_length_a 5.7419
_cell_length_b 5.8768
_cell_length_c 5.9069
_cell_angle_alpha 118.03
_cell_angle_beta 90.25
_cell_angle_gamma 119.20
loop_
_symmetry_equiv_pos_as_xyz
'x,y,z'
loop_
_atom_site_label
_atom_site_fract_x
_atom_site_fract_y
_atom_site_fract_z
_atom_site_occupancy
Mg1 0.0000 0.0000 0.0000 1
Mn1 0.0008 0.5001 0.4995 1
Mn2 0.5002 0.9991 0.4985 1
Mn3 0.5008 0.4999 0.4993 1
Co1 0.0008 0.0002 0.4997 1
O1 0.2220 0.9510 0.7000 1
O2 0.2289 0.4539 0.6957 1
O3 0.2417 0.4841 0.2753 1
O4 0.2691 0.0487 0.2991 1
O5 0.7319 0.9510 0.6995 1
O6 0.7596 0.5156 0.7232 1
O7 0.7731 0.5469 0.3035 1
O8 0.7795 0.0489 0.2987 1
```

[4]
For SiNi2O4, a cell relaxed with GGA+U gives the calculated XRD peak list in this record (Cu Ka).
'''

Here it is >
1